Activity >
Next, say how many lines of the contents underneath hold the word "analysis", as a bare number.

Data >
-- begin --
(1)
DFT (ωB97M-V with the def2-TZVPD basis set) results for a 2-piece molecular cluster, C13H14BF3O2 overall.

Geometry (Å):
1 C 2.58976 0.29012 -2.91785
2 O 1.19899 0.65552 -2.83054
3 C 0.32305 -0.26189 -2.58459
4 C -1.07680 0.06258 -2.72428
5 C -2.02304 -0.98451 -2.82165
6 C -3.38299 -0.68790 -2.83679
7 C -3.81456 0.64500 -2.83058
8 C -2.87357 1.68756 -2.84273
9 C -1.51455 1.40918 -2.83170
10 H 3.13284 1.23405 -2.95193
11 H 2.86059 -0.28546 -2.03112
12 H 2.78667 -0.29682 -3.82057
13 H 0.66881 -1.30502 -2.61368
14 H -1.63496 -2.00439 -2.83131
15 H -4.11458 -1.49467 -2.83308
16 H -4.88107 0.87670 -2.81854
17 H -3.20303 2.72453 -2.84532
18 H -0.75527 2.19465 -2.85663
19 C 1.65836 1.00764 5.48510
20 C 1.29415 0.05151 4.44270
21 C 1.05308 -1.29991 4.52713
22 C 0.73965 -1.74017 3.18859
23 C 0.81647 -0.62909 2.37592
24 B 0.57802 -0.37639 0.75513
25 F 0.26007 -1.64734 0.27860
26 F -0.47965 0.52150 0.66944
27 F 1.78858 0.10916 0.26746
28 O 1.14784 0.46087 3.14443
29 H 1.72965 0.47380 6.44074
30 H 2.63006 1.47688 5.28944
31 H 0.90679 1.79837 5.59817
32 H 1.09497 -1.91257 5.43204
33 H 0.49569 -2.75348 2.92799

energy above the lowest of the compared OMol25 structures with the same formula, charge and spin = 1.0 kcal/mol
E_tot = -26633.454 eV
maximum force = 4.1 eV/Å
Kohn-Sham gap = 3.7 eV
E_LUMO = -2.6 eV
2S+1 = 1
total charge = 0

Atom charges from the Löwdin analysis, given in e for atoms 1 to 2:
1 C 0.02
2 O -0.01



(2)
DFT (ωB97M-V with the def2-TZVPD basis set) results for an isolated ion of composition CH5NO and charge +1.

Geometry (Å):
1 O -0.63003 1.33257 0.23755
2 H -1.30218 0.95819 0.83434
3 C -0.11762 0.26724 -0.42654
4 N 0.64036 -0.62313 0.34516
5 H 0.39443 0.59204 -1.37467
6 H -0.86399 -0.46299 -0.91909
7 H 0.75387 -0.61549 1.36674
8 H 1.12514 -1.44842 -0.06348

energy above the lowest of the compared OMol25 structures with the same formula, charge and spin = 0.9 kcal/mol
E_tot = -4645.918 eV
maximum force = 1.9 eV/Å
Kohn-Sham gap (spin up / spin down) = 13.3 / 8.7 eV
E_LUMO (spin up / spin down) = -4.0 / -8.9 eV
2S+1 = 2
total charge = +1

Atom charges from the Löwdin analysis, given in e for atoms 1 to 2:
1 O 0.07
2 H 0.14



(3)
DFT (ωB97M-V with the def2-TZVPD basis set) results for a 2-piece molecular cluster, C4H12N2O overall.

Geometry (Å):
1 C -1.37401 -0.18216 1.42594
2 C -0.74794 0.42990 0.42395
3 C -0.63436 1.92572 0.35087
4 C -0.79587 -0.32072 -1.08760
5 N -0.48560 -1.69638 -1.07305
6 H -1.68745 0.34612 2.31646
7 H -1.48115 -1.25675 1.45850
8 H -1.53523 2.38837 -0.05337
9 H -0.41939 2.36456 1.32681
10 H 0.19841 2.21972 -0.29358
11 H -0.01150 0.21461 -1.63034
12 H -1.78136 -0.12777 -1.50868
13 H 0.38064 -1.84622 -0.54169
14 H -1.23096 -2.26056 -0.68765
15 N 2.59625 -0.20940 -0.45710
16 O 1.79335 -0.87713 0.52807
17 H 3.48191 0.01467 0.00570
18 H 2.80175 -0.91101 -1.17222
19 H 0.93250 -0.21557 0.66898

SMILES string = C=C(C)CN.NO
energy above the lowest of the compared OMol25 structures with the same formula, charge and spin = 93.7 kcal/mol
E_tot = -9367.131 eV
maximum force = 3.8 eV/Å
Kohn-Sham gap = 9.6 eV
E_LUMO = 0.8 eV
2S+1 = 1
total charge = 0

Atom charges from the Löwdin analysis, given in e for atoms 1 to 2:
1 C 0.04
2 C -0.37



(4)
DFT (ωB97M-V with the def2-TZVPD basis set) results for C3H3O2Sc as an isolated structure.

Geometry (Å):
1 O -0.38363 -0.90132 1.07228
2 C 0.21417 -0.52572 0.01128
3 C 1.38120 -1.41574 0.06528
4 C 1.23499 -2.01141 1.33916
5 H 2.01473 -1.68151 -0.78074
6 H 1.96575 -1.78526 2.12064
7 H 0.61471 -2.89970 1.48128
8 O -0.01789 0.44738 -0.71579
9 Sc -0.95403 2.22801 -0.82383

energy above the lowest of the compared OMol25 structures with the same formula, charge and spin = 74.9 kcal/mol
E_tot = -27914.478 eV
maximum force = 2.5 eV/Å
Kohn-Sham gap (spin up / spin down) = 4.7 / 8.7 eV
E_LUMO (spin up / spin down) = -17.8 / -17.3 eV
2S+1 = 2
total charge = +3

Atom charges from the Löwdin analysis, given in e for atoms 1 to 2:
1 O 0.22
2 C -0.46



(5)
-- stop --

Response >
4